(Data)
No. 1
Formula: C2HPS2
Source: the Open Molecules 2025 dataset
Level of theory: wB97M-V/def2-TZVPD

Its SMILES is C#CSP=S. The value obtained for the frontier orbital gap is 0.2832 hartree. The HOMO energy comes out at -9.2 eV.

The geometry in XYZ format:
```
6
Properties=species:S:1:pos:R:3:forces:R:3:mulliken_charge:R:1
C 1.88361 -0.60468 -0.52859 -0.5 0.3 0.2 0.3008
C 0.99864 0.06727 -0.07371 0.1 -0.1 0.0 -0.5391
S -0.20495 1.05362 0.58198 -0.2 0.1 0.1 -0.1677
P -1.90081 -0.14519 0.13620 -0.6 0.5 0.3 0.2571
S -3.42417 0.82942 0.81560 0.8 -0.4 -0.3 -0.2394
H 2.64767 -1.20043 -0.93148 0.4 -0.3 -0.2 0.3883
```
Positions in Å, forces in eV/Å.

No. 2
Formula: C2H8NO
Source: the Open Molecules 2025 dataset
Level of theory: wB97M-V/def2-TZVPD

The value obtained for the frontier orbital gap (spin up / spin down) is 0.3882 / 0.2943 hartree. The HOMO energy (spin up / spin down) comes out at -9.6 / -9.6 eV. The expectation value of S² is 0.755. Its spin multiplicity is 2.

The geometry in XYZ format:
```
12
Properties=species:S:1:pos:R:3:forces:R:3:mulliken_charge:R:1
N 0.70998 1.90746 2.36208 -2.2 0.4 1.2 -0.5718
H -0.11793 2.57208 2.37740 2.1 -1.4 0.5 0.2001
H 1.21443 1.94881 1.52644 0.9 0.1 -1.0 0.1862
H 1.23149 1.62533 3.20032 -0.8 0.8 -0.8 0.1874
C -0.60357 -1.75480 -1.17390 0.3 2.6 2.2 -0.1443
O -0.40682 -2.25798 -2.37148 -0.3 -1.7 -1.0 -0.3311
C -0.15469 -0.26575 -1.19477 0.0 0.0 0.9 -0.8345
H -0.10035 -2.27619 -0.29688 -0.4 -0.1 -1.0 0.2658
H -1.68110 -1.71076 -0.83133 0.4 -0.6 -0.7 0.2382
H -0.31384 0.20004 -0.18776 0.0 -0.1 -0.9 0.2640
H -0.70067 0.24713 -2.00680 0.3 -0.1 0.6 0.2743
H 0.92306 -0.23535 -1.40332 -0.3 0.1 0.0 0.2656
```
Positions in Å, forces in eV/Å.

No. 3
Formula: C24H19Cl2MoN2O5
Source: the Open Molecules 2025 dataset
Level of theory: wB97M-V/def2-TZVPD

The value obtained for the frontier orbital gap is 0.2617 hartree. As for the charge: +1. The HOMO energy comes out at -11.9 eV.

The geometry in XYZ format:
```
53
Properties=species:S:1:pos:R:3:forces:R:3:mulliken_charge:R:1
Mo 0.36205 -0.43219 0.66227 0.4 1.0 -0.2 1.3273
O 2.32092 2.02804 -1.87250 0.0 0.0 0.0 -0.5631
C 1.93910 1.56431 -0.64054 0.0 0.0 0.0 0.4158
O 1.00577 0.45081 -0.82568 -0.2 -0.4 0.1 -0.5397
C 3.16929 0.89129 -0.03341 0.1 0.1 -0.1 -0.9731
O 2.70289 -0.06747 0.92347 -0.1 0.0 0.2 -0.4922
C 3.09422 0.05102 2.28784 0.0 0.0 0.1 -0.3355
C 1.85082 0.21069 3.15591 0.5 0.1 0.2 0.6094
O 1.86107 0.59931 4.27652 0.0 -0.1 -0.1 -0.5227
O 0.73314 -0.17056 2.50255 -0.5 -0.3 -0.4 -0.6488
H 1.64719 2.61380 -2.24087 0.0 0.1 0.0 0.4761
H 3.69085 0.36549 -0.83118 0.0 0.0 0.0 0.4346
H 3.84111 1.61024 0.43077 0.0 0.0 0.0 0.4991
H 3.60928 -0.86228 2.59204 0.0 0.0 0.0 0.4236
H 3.76165 0.89428 2.45453 0.0 0.0 0.0 0.3653
C -1.69366 -0.03431 0.63594 0.0 0.1 0.2 -1.9130
C -2.25838 0.22421 -0.72799 0.0 -0.1 -0.1 1.2529
C -2.92385 1.41821 -1.00014 0.0 0.0 0.0 -0.4833
C -3.43697 1.67275 -2.25935 0.0 0.0 0.0 -0.8099
C -3.28806 0.72672 -3.27150 0.0 0.0 0.1 0.5292
C -2.64191 -0.47805 -3.00722 0.0 0.0 0.0 -0.9724
C -2.13399 -0.72364 -1.74452 0.0 0.0 0.0 0.0731
C -3.79756 0.99286 -4.58562 -0.1 0.0 -0.1 -0.1153
N -4.19738 1.20247 -5.64144 0.0 0.0 0.0 -0.4438
H -2.16175 -0.89677 1.11980 0.0 0.0 0.0 0.6888
H -1.80213 0.83669 1.29397 -0.1 0.0 -0.1 0.4608
H -3.05147 2.14806 -0.21060 0.0 0.0 0.0 0.5856
H -3.95970 2.59697 -2.46452 0.0 0.0 0.0 0.4923
H -2.53840 -1.21443 -3.79232 0.0 0.0 0.0 0.4971
H -1.62939 -1.66293 -1.55538 0.0 0.0 0.0 0.2697
C -0.21858 4.41896 1.75225 0.0 0.0 0.0 -0.6367
C -0.73116 3.95996 0.54568 0.0 0.0 0.0 -0.6441
C -0.02060 3.03941 -0.20547 0.0 0.0 0.0 -0.4898
C 1.22617 2.58485 0.23048 0.0 -0.1 0.0 0.9413
C 1.73982 3.06164 1.43183 0.0 0.0 -0.1 -0.2973
C 1.01375 3.96699 2.19445 0.0 0.0 0.0 -0.9319
H -0.77813 5.13209 2.34178 0.0 0.0 0.0 0.4461
H -1.68702 4.32070 0.18934 0.0 0.0 0.0 0.5253
H -0.44639 2.66156 -1.12860 0.0 0.0 0.0 0.6125
H 2.71755 2.76123 1.78190 0.0 0.0 0.0 0.4657
H 1.42104 4.32164 3.13120 0.0 0.0 0.0 0.4614

(Brief)
What is needed: say how many lines of the listing further up hold the word "pos", as a bare number.

(Reply)
3